-- Entries --
NaVO3: optimized geometry, PBE+U.

Cell lengths 14.5975, 3.6594, 5.4903 Å; angles 90.00, 90.00, 90.00 degrees
Atoms (fractional coordinates):
Na  0.1728  0.2500  0.1117
Na  0.3272  0.7500  0.6117
Na  0.6728  0.2500  0.3883
Na  0.8272  0.7500  0.8883
V  0.0851  0.7500  0.5732
V  0.4149  0.2500  0.0732
V  0.5851  0.7500  0.9268
V  0.9149  0.2500  0.4268
O  0.0517  0.2500  0.5042
O  0.1117  0.7500  0.8686
O  0.1836  0.7500  0.4093
O  0.3164  0.2500  0.9093
O  0.3883  0.2500  0.3686
O  0.4483  0.7500  0.0042
O  0.5517  0.2500  0.9958
O  0.6117  0.7500  0.6314
O  0.6836  0.7500  0.0907
O  0.8164  0.2500  0.5907
O  0.8883  0.2500  0.1314
O  0.9483  0.7500  0.4958

Calculated values
* calculated formation energy: -2.378 eV/atom



NaV2O4: optimized geometry, PBE+U.

Cell lengths 9.3196, 2.9209, 10.8897 Å; angles 90.00, 90.00, 90.00 degrees
Atoms (fractional coordinates):
Na  0.2432  0.2500  0.1526
Na  0.2568  0.7500  0.6526
Na  0.7432  0.2500  0.3474
Na  0.7568  0.7500  0.8474
V  0.0643  0.2500  0.3878
V  0.0813  0.2500  0.8959
V  0.4187  0.7500  0.3959
V  0.4357  0.7500  0.8878
V  0.5643  0.2500  0.1122
V  0.5813  0.2500  0.6041
V  0.9187  0.7500  0.1041
V  0.9357  0.7500  0.6122
O  0.0224  0.7500  0.7812
O  0.0772  0.2500  0.5706
O  0.1127  0.7500  0.0204
O  0.2081  0.7500  0.3511
O  0.2919  0.2500  0.8511
O  0.3873  0.2500  0.5204
O  0.4228  0.7500  0.0706
O  0.4776  0.2500  0.2812
O  0.5224  0.7500  0.7188
O  0.5772  0.2500  0.9294
O  0.6127  0.7500  0.4796
O  0.7081  0.7500  0.1489
O  0.7919  0.2500  0.6489
O  0.8873  0.2500  0.9796
O  0.9228  0.7500  0.4294
O  0.9776  0.2500  0.2188

Calculated values
* E above lowest polymorph: 10 meV/atom
* calculated formation energy: -2.421 eV/atom



NaVO3: optimized geometry, PBE+U.

Cell lengths 7.8170, 7.8170, 7.8170 Å; angles 106.85, 91.58, 133.04 degrees
Atoms (fractional coordinates):
Na  0.2500  0.0428  0.7928
Na  0.2500  0.4572  0.2072
Na  0.7500  0.5428  0.7928
Na  0.7500  0.9572  0.2072
V  0.2199  0.5845  0.8045
V  0.2801  0.0845  0.3646
V  0.7199  0.9155  0.6354
V  0.7801  0.4155  0.1955
O  0.0811  0.7500  0.3311
O  0.1270  0.1065  0.2335
O  0.1539  0.7461  0.9000
O  0.3461  0.2461  0.5922
O  0.3730  0.6065  0.9796
O  0.4189  0.7500  0.6689
O  0.5811  0.2500  0.3311
O  0.6270  0.3935  0.0204
O  0.6539  0.7539  0.4078
O  0.8461  0.2539  0.1000
O  0.8730  0.8935  0.7665
O  0.9189  0.2500  0.6689

Calculated values
* calculated formation energy: -2.337 eV/atom



NaV2O4: optimized geometry, PBE+U.

Cell lengths 6.6292, 6.6292, 5.1921 Å; angles 103.43, 103.43, 53.27 degrees
Atoms (fractional coordinates):
Na  0.1912  0.8088  0.5000
Na  0.8088  0.1912  0.0000
V  0.1237  0.3739  0.5017
V  0.3739  0.1237  0.0017
V  0.6288  0.8818  0.4966
V  0.8818  0.6288  0.9966
O  0.0380  0.2763  0.7762
O  0.2326  0.4479  0.2195
O  0.2763  0.0380  0.2762
O  0.4479  0.2326  0.7195
O  0.5243  0.8047  0.7900
O  0.7195  0.9730  0.2159
O  0.8047  0.5243  0.2900
O  0.9730  0.7195  0.7159

Calculated values
* E above lowest polymorph: 13 meV/atom
* calculated formation energy: -2.418 eV/atom



NaVO3: optimized geometry, PBE+U.

Cell lengths 7.3204, 7.3204, 6.0164 Å; angles 104.94, 104.94, 84.00 degrees
Atoms (fractional coordinates):
Na  0.0911  0.9089  0.7500
Na  0.2765  0.7235  0.2500
Na  0.7235  0.2765  0.7500
Na  0.9089  0.0911  0.2500
V  0.2049  0.3806  0.7736
V  0.3806  0.2049  0.2736
V  0.6194  0.7951  0.7264
V  0.7951  0.6194  0.2264
O  0.0289  0.2267  0.6685
O  0.1166  0.6030  0.8249
O  0.2267  0.0289  0.1685
O  0.3472  0.3534  0.0622
O  0.3534  0.3472  0.5622
O  0.3970  0.8834  0.6751
O  0.6030  0.1166  0.3249
O  0.6466  0.6528  0.4378
O  0.6528  0.6466  0.9378
O  0.7733  0.9711  0.8315
O  0.8834  0.3970  0.1751
O  0.9711  0.7733  0.3315

Calculated values
* calculated formation energy: -2.380 eV/atom



Na5VO5: optimized geometry, PBE+U.

Cell lengths 5.8594, 16.2954, 6.6741 Å; angles 90.00, 90.00, 90.00 degrees
Atoms (fractional coordinates):
Na  0.0000  0.2310  0.2500
-- Work order --
Next, copy everything earlier on without altering anything.
-- Response --
NaVO3: optimized geometry, PBE+U.

Cell lengths 14.5975, 3.6594, 5.4903 Å; angles 90.00, 90.00, 90.00 degrees
Atoms (fractional coordinates):
Na  0.1728  0.2500  0.1117
Na  0.3272  0.7500  0.6117
Na  0.6728  0.2500  0.3883
Na  0.8272  0.7500  0.8883
V  0.0851  0.7500  0.5732
V  0.4149  0.2500  0.0732
V  0.5851  0.7500  0.9268
V  0.9149  0.2500  0.4268
O  0.0517  0.2500  0.5042
O  0.1117  0.7500  0.8686
O  0.1836  0.7500  0.4093
O  0.3164  0.2500  0.9093
O  0.3883  0.2500  0.3686
O  0.4483  0.7500  0.0042
O  0.5517  0.2500  0.9958
O  0.6117  0.7500  0.6314
O  0.6836  0.7500  0.0907
O  0.8164  0.2500  0.5907
O  0.8883  0.2500  0.1314
O  0.9483  0.7500  0.4958

Calculated values
* calculated formation energy: -2.378 eV/atom



NaV2O4: optimized geometry, PBE+U.

Cell lengths 9.3196, 2.9209, 10.8897 Å; angles 90.00, 90.00, 90.00 degrees
Atoms (fractional coordinates):
Na  0.2432  0.2500  0.1526
Na  0.2568  0.7500  0.6526
Na  0.7432  0.2500  0.3474
Na  0.7568  0.7500  0.8474
V  0.0643  0.2500  0.3878
V  0.0813  0.2500  0.8959
V  0.4187  0.7500  0.3959
V  0.4357  0.7500  0.8878
V  0.5643  0.2500  0.1122
V  0.5813  0.2500  0.6041
V  0.9187  0.7500  0.1041
V  0.9357  0.7500  0.6122
O  0.0224  0.7500  0.7812
O  0.0772  0.2500  0.5706
O  0.1127  0.7500  0.0204
O  0.2081  0.7500  0.3511
O  0.2919  0.2500  0.8511
O  0.3873  0.2500  0.5204
O  0.4228  0.7500  0.0706
O  0.4776  0.2500  0.2812
O  0.5224  0.7500  0.7188
O  0.5772  0.2500  0.9294
O  0.6127  0.7500  0.4796
O  0.7081  0.7500  0.1489
O  0.7919  0.2500  0.6489
O  0.8873  0.2500  0.9796
O  0.9228  0.7500  0.4294
O  0.9776  0.2500  0.2188

Calculated values
* E above lowest polymorph: 10 meV/atom
* calculated formation energy: -2.421 eV/atom



NaVO3: optimized geometry, PBE+U.

Cell lengths 7.8170, 7.8170, 7.8170 Å; angles 106.85, 91.58, 133.04 degrees
Atoms (fractional coordinates):
Na  0.2500  0.0428  0.7928
Na  0.2500  0.4572  0.2072
Na  0.7500  0.5428  0.7928
Na  0.7500  0.9572  0.2072
V  0.2199  0.5845  0.8045
V  0.2801  0.0845  0.3646
V  0.7199  0.9155  0.6354
V  0.7801  0.4155  0.1955
O  0.0811  0.7500  0.3311
O  0.1270  0.1065  0.2335
O  0.1539  0.7461  0.9000
O  0.3461  0.2461  0.5922
O  0.3730  0.6065  0.9796
O  0.4189  0.7500  0.6689
O  0.5811  0.2500  0.3311
O  0.6270  0.3935  0.0204
O  0.6539  0.7539  0.4078
O  0.8461  0.2539  0.1000
O  0.8730  0.8935  0.7665
O  0.9189  0.2500  0.6689

Calculated values
* calculated formation energy: -2.337 eV/atom



NaV2O4: optimized geometry, PBE+U.

Cell lengths 6.6292, 6.6292, 5.1921 Å; angles 103.43, 103.43, 53.27 degrees
Atoms (fractional coordinates):
Na  0.1912  0.8088  0.5000
Na  0.8088  0.1912  0.0000
V  0.1237  0.3739  0.5017
V  0.3739  0.1237  0.0017
V  0.6288  0.8818  0.4966
V  0.8818  0.6288  0.9966
O  0.0380  0.2763  0.7762
O  0.2326  0.4479  0.2195
O  0.2763  0.0380  0.2762
O  0.4479  0.2326  0.7195
O  0.5243  0.8047  0.7900
O  0.7195  0.9730  0.2159
O  0.8047  0.5243  0.2900
O  0.9730  0.7195  0.7159

Calculated values
* E above lowest polymorph: 13 meV/atom
* calculated formation energy: -2.418 eV/atom



NaVO3: optimized geometry, PBE+U.

Cell lengths 7.3204, 7.3204, 6.0164 Å; angles 104.94, 104.94, 84.00 degrees
Atoms (fractional coordinates):
Na  0.0911  0.9089  0.7500
Na  0.2765  0.7235  0.2500
Na  0.7235  0.2765  0.7500
Na  0.9089  0.0911  0.2500
V  0.2049  0.3806  0.7736
V  0.3806  0.2049  0.2736
V  0.6194  0.7951  0.7264
V  0.7951  0.6194  0.2264
O  0.0289  0.2267  0.6685
O  0.1166  0.6030  0.8249
O  0.2267  0.0289  0.1685
O  0.3472  0.3534  0.0622
O  0.3534  0.3472  0.5622
O  0.3970  0.8834  0.6751
O  0.6030  0.1166  0.3249
O  0.6466  0.6528  0.4378
O  0.6528  0.6466  0.9378
O  0.7733  0.9711  0.8315
O  0.8834  0.3970  0.1751
O  0.9711  0.7733  0.3315

Calculated values
* calculated formation energy: -2.380 eV/atom



Na5VO5: optimized geometry, PBE+U.

Cell lengths 5.8594, 16.2954, 6.6741 Å; angles 90.00, 90.00, 90.00 degrees
Atoms (fractional coordinates):
Na  0.0000  0.2310  0.2500